How to get a substring that ends before a certain symbol - substring

No. 1
NaMn3V4O12 PBE+U optimized geometry; mass density = 4.62 g/cm³; excess energy over the best structure of this formula in the dataset = 0.018 eV per atom
1.0
-3.7422 3.7700 -3.7416
3.7692 -3.7440 -3.7426
-3.7159 -3.7176 -3.7157
Na Mn V O
1 3 4 12
direct
0.0000 0.0000 0.0000 Na
0.5000 0.0000 0.5000 Mn
0.4999 0.5000 0.0000 Mn
0.0000 0.5000 0.5000 Mn
0.0000 0.0000 0.5000 V
0.0000 0.5000 0.0000 V
0.5000 0.5000 0.5000 V
0.5000 0.0000 0.0000 V
0.1188 0.8069 0.7000 O
0.4925 0.1863 0.6903 O
0.5075 0.8137 0.3097 O
0.8812 0.1931 0.3000 O
0.6879 0.8810 0.8190 O
0.6937 0.5075 0.1826 O
0.3063 0.4925 0.8174 O
0.3121 0.1191 0.1810 O
0.1933 0.3120 0.5070 O
0.8137 0.3061 0.8766 O
0.1863 0.6938 0.1234 O
0.8067 0.6880 0.4930 O

---

No. 2
Mo3NO9 PBE+U optimized geometry; mass density = 3.58 g/cm³; excess energy over the best structure of this formula in the dataset = 0.000 eV per atom
1.0
-4.9602 -10.1236 -0.0818
10.3129 1.1897 4.3962
-1.5169 0.7160 3.3648
Mo N O
6 2 18
direct
0.8927 0.3575 0.2500 Mo
0.4649 0.1074 0.2500 Mo
0.6425 0.5351 0.2500 Mo
0.1072 0.6428 0.7500 Mo
0.5356 0.8928 0.7500 Mo
0.3571 0.4643 0.7500 Mo
0.0000 0.0000 0.3974 N
0.0000 0.0000 0.1026 N
0.7225 0.2244 0.2500 O
0.5019 0.2775 0.2500 O
0.7756 0.4981 0.2500 O
0.2774 0.7756 0.7500 O
0.4981 0.7226 0.7500 O
0.2245 0.5019 0.7500 O
0.9820 0.2728 0.2500 O
0.2908 0.0180 0.2500 O
0.7272 0.7092 0.2499 O
0.0183 0.7280 0.7500 O
0.7097 0.9817 0.7500 O
0.2719 0.2902 0.7500 O
0.0765 0.5746 0.2500 O
0.4981 0.9234 0.2500 O
0.4254 0.5019 0.2500 O
0.9233 0.4256 0.7500 O
0.5024 0.0767 0.7500 O
0.5744 0.4977 0.7500 O

---

No. 3
EuCrSnBiO6 PBE+U optimized geometry; mass density = 8.07 g/cm³
1.0
0.0000 -4.0117 -4.0117
4.0117 0.0000 -4.0117
4.0117 -4.0117 0.0000
Eu Cr Sn Bi O
1 1 1 1 6
direct
0.2500 0.2500 0.2500 Eu
0.0000 0.0000 0.0000 Cr
0.5000 0.5000 0.5000 Sn
0.7500 0.7500 0.7500 Bi
0.7537 0.2463 0.2463 O
0.2463 0.7537 0.7537 O
0.7537 0.2463 0.7537 O
0.2463 0.7537 0.2463 O
0.7537 0.7537 0.2463 O
0.2463 0.2463 0.7537 O

---

| no. | energy of formation from the pure elements (eV per atom) |
| --- | --- |
| 1 | -2.29 |
| 2 | -1.72 |
| 3 | -2.16 |

* * * * *

#P
! GGA+U CaNi2O4, relaxed; values from VASP
&SYSTEM
  ibrav = 0, nat = 56, ntyp = 3
/
ATOMIC_SPECIES
Ca 40.08 Ca.upf
Ni 58.69 Ni.upf
O 16.00 O.upf
ATOMIC_POSITIONS crystal
Ca 0.164 0.118 0.025
Ca 0.995 0.502 0.126
Ca 0.145 0.108 0.285
Ca 0.007 0.496 0.375
Ca 0.998 0.499 0.626
Ca 0.498 0.507 0.497
Ca 0.987 0.505 0.876
Ca 0.501 0.493 0.753
Ni 0.501 0.496 0.124
Ni 0.501 0.502 0.249
Ni 0.501 0.005 0.124
Ni 0.133 0.111 0.536
Ni 0.506 0.491 0.373
Ni 0.843 0.889 0.220
Ni 0.150 0.111 0.782
Ni 0.506 0.011 0.373
Ni 0.499 0.502 0.625
Ni 0.857 0.888 0.467
Ni 0.499 0.998 0.625
Ni 0.500 0.989 0.876
Ni 0.500 0.509 0.876
Ni 0.865 0.887 0.715
Ni 0.499 0.494 0.003
Ni 0.831 0.890 0.972
O 0.314 0.257 0.062
O 0.324 0.242 0.173
O 0.314 0.683 0.062
O 0.723 0.271 0.059
O 0.236 0.758 0.187
O 0.319 0.258 0.310
O 0.696 0.289 0.190
O 0.276 0.229 0.441
O 0.319 0.682 0.310

One of the variables I have in the file has the following format:
Bachelor of Commerce - AD - Accounting-Maj
Bachelor of Commerce - Finance-Maj
Bachelor of Commerce - Finance-Maj/Accounting-Min
BSc with Specialization - Math & Finance-Maj
BSc in Agric/Food Bus Mngmnt - Agric Business Management-Maj
Bachelor of Commerce - Management Info Systems-Maj
What I would like to do, is to take the first part of the string before the - symbol.
For example, from the first three lines I need to get Bachelor of Commerce.
I would appreciate if somebody could tell me the easiest way to do it.

Try this, assuming your variable is named string_var:
split string_var, parse(" -") limit(1) gen(substring_before_first_hyphen)

For future questions, please post attempted code and why it's not working for you. Questions asking only for code are deemed off-topic by some users.
Here is one way:
clear all
set more off
*----- example data -----
set obs 2
gen degree = "Bachelor of Commerce - AD - Accounting-Maj"
replace degree = "Bachelor of Something" in 2
*----- what you want -----
gen degree2 = trim(substr(degree, 1, strpos(degree, "-") - 1))
replace degree2 = degree if missing(degree2)
This takes the substring of variable degree starting in position 1, and ending in the position (minus 1) in which the first - is found. trim() will trim any leading or trailing blanks. If there is no - in the original variable, a missing will be generated so a replace is in place.
See help string functions for an array of functions that can be used to manipulate strings.

Previous answers using substring and split are probably better in Stata. I am posting a regular expression solution just for completeness
input strL degree
"Bachelor of Commerce - AD - Accounting-Maj"
"Bachelor of Commerce - Finance-Maj"
"Bachelor of Commerce - Finance-Maj/Accounting-Min"
"BSc with Specialization - Math & Finance-Maj"
"BSc in Agric/Food Bus Mngmnt - Agric Business Management-Maj"
"Bachelor of Commerce - Management Info Systems-Maj"
gen str=regexs(0) if regexm(degree,"^[^\-]*")==1
list str

String course = Bachelor of Commerce - AD - Accounting-Maj;
if you want to get subString of before '-' character use below line
String requiredSubString = course.split("-")[0];
in above code split method returns array of stings, which is separated by '-' character.Then you can get required sub String by its index. so here we are getting 0 index string separated by - character .
i.e Bachelor of Commerce

One could also use the egen command with its ends() function and the associated punct option:
input strL string
"Bachelor of Commerce - AD - Accounting-Maj"
"Bachelor of Commerce - Finance-Maj"
"Bachelor of Commerce - Finance-Maj/Accounting-Min"
"BSc with Specialization - Math & Finance-Maj"
"BSc in Agric/Food Bus Mngmnt - Agric Business Management-Maj"
"Bachelor of Commerce - Management Info Systems-Maj"
egen new_string = ends(string), punct(-)
list new_string
| new_string |
1. | Bachelor of Commerce |
2. | Bachelor of Commerce |
3. | Bachelor of Commerce |
4. | BSc with Specialization |
5. | BSc in Agric/Food Bus Mngmnt |
6. | Bachelor of Commerce |


open api 3 add multiple random examples for a single string item

I have a text.yaml - a single string item.
I want it to pass random string examples to my documentation to represent real life cases.
type: string
- Example Text
- טקסט לדוגמא
- 123 text with numbers 456
description: localized text to show
tried with examples but it's not supported.
this doc - does not list any valid parameters for this

Scala split on \n

I have a text file with following contents-
Hotline: +49 40-300 51 701\n\t\n\t\n\t
Travel plan \n\t\n\t\n\n\n\n\t\t\n\n\t\t\n\t\t\t\n\n\n\n\n\n\n\n\n\n\n\t\t\t\t\n\t\t\t\t\n\t\t\t\t\n\t\t\t\n\n\t\t\n\n\t\t\n\t\t\t\t
Packages from € 59\n
\tAccommodation and arrival\n
\tMusical packages\n
\tMaritime packages\n\t
Hamburg for Families\n\t
Experience Hamburg & Culture\n\n\n\n\n\t
Hotels from € 24\n\t
Book online now!\n\t
Theme hotels\n\t
Hotels by location\n\t
Special Offers\n\t
Hotels from A-Z\n\t
Other accommodation\n\n\n\n\n\t
Tickets from € 8\n\tBook online now!\n\t
Musicals Hamburg\n\tHamburg maritime\n\t
Sightseeing tours & city walks\n\tMuseums & Exhibitions\n\tHamburg for Families\n\n\n\n\n\t
Hamburg CARD\n\tBook online now!\n\tAll benefits at a glance\n\tFrequently asked questions\n\n\n\n\n\t
Group trips\n\tBooking request\n\tHamburg Guides and theme walks\n\n\n\n\n\n\n\t\n\t\tOffer\n\n\t\t\n\n\t\t\n\n\t\t
Hamburg CARD\n\t\tFree travel by bus, rail and ferry (HVV) and up to 50% discount on more than 150 tourist...\n\n\t\n\t\n\t\t\n\t\t\t\n\t\t\t\t
from 10,50 EUR\n\t\t\t\n\t\t\n\n\t\n\n\n\n\n\n\n\tAttractions\tBest of Hamburg\n\t
Town Hall\n\tThe \"Michel\"\n\tSt. Pauli & Reeperbahn\n\t
Elbphilharmonie\n\tJungfernstieg\n\tMiniatur Wunderland\n\tTierpark Hagenbeck\n\t
All about the Alster\n\tBlankenese\n\n\n\n\n\tHamburg Maritime\n\t
Urbanshore Hamburg\n\tPort of Hamburg\n\tLandungsbrücken\n\tFish Market\n\tSpeicherstadt\n\tOn the Elbe\n\tHafenCity\n\tWillkomm-Höft\n\tÖvelgönne\n\n\n\n\n\tHistoric Hamburg\n\tThe Old Elbe Tunnel\n\t"
I want to split it on the \n. I tried
Nothing of this seems to work. How do I get it done in scala?
Split by \n, then \t, flatten, then remove empty strings.
var lines = Source.fromFile("/Users/rasika/Documents/example.txt").getLines.mkString
val result = lines.split("\\\\n").flatMap(_.split("\\\\t")).filter(_.nonEmpty).toList
Hotline: +49 40-300 51 701
Travel plan
Packages from € 59
Accommodation and arrival
Musical packages
Maritime packages
Hamburg for Families
Experience Hamburg & Culture
Hotels from € 24
Book online now!
Theme hotels
Hotels by location
Special Offers
Hotels from A-Z
Other accommodation
Tickets from € 8
Book online now!
Musicals Hamburg
Hamburg maritime
Sightseeing tours & city walks
Museums & Exhibitions
Hamburg for Families
Hamburg CARD
Book online now!
All benefits at a glance
Frequently asked questions
Group trips
Booking request
Hamburg Guides and theme walks
Hamburg CARD
Free travel by bus, rail and ferry (HVV) and up to 50% discount on more than 150 tourist...
from 10,50 EUR
Output exceeds cutoff limit.
If you want to split on literal \n in your text (i.e. literal text, and not just a newline), then try this:
In a regex context in Java/Scala, a literal backslash requires four backslashes.
Since you're splitting on newlines, and io.Source.fromFile.getLines separates on newlines, you'll need to read the whole file in one go instead, with
val string = io.Source.fromFile(filepath).mkString
as per this answer. Then your attempts should work e.g.

RASA: Automatic generation of stories

I want to know whether it is possible to automatically generate stories to train the chatbot using RASA.
I have built my training data using the online training session to generate the stories and I found it very impractical. I would like to know whether there is some automatic way to do the story conversion of any conversation.
You can use interactive learning to create training data while speaking to the bot. See the docs here for more information on how to use interactive learning.
This is probably too late of a response but it is for the rest of the community who might still need an answer to this. A few months ago, I personally experienced that it would take too long to conduct interactive learning to train your RASA bot (especially when you have hundreds of intents and actions).
What I did was:
1) Compile all my named intents and actions(utter_) into a .csv file with following column headers : [subject] | [intent_name] | [utter_name]
2) Parse the intent name along with its respective action name in the same row into Markdown(.md) format while adding the respective strings to follow the formatting of the file
Package this into a function and call in a for loop:
subcell = "## " + column[0] + "\n" # [subject] header for stories
subcell += "* " + column[1] + "\n" + " - " + column[2] + "\n" + "\n" # [intent_name] + [utter_name]
3) The generated output will have all the direct intent-action pairings for your simple conversation flows. Likewise, you can apply this concept for generating domain.yml
Hope this helps! error code -5

i'm trying to use service to classify texts, and get error response -5 (text too short)
Here is what i'm sending to the service: college basketball game at Allen Fieldhouse, in Lawrence, Kansas, the home of the Kansas Jayhawks
The history of basketball is traced back to a YMCA International Training School, known today as Springfield College, located in Springfield, Massachusetts&token=[...MyKey...]&ver=1
Indeed I had the same issue. After clearing this with taxonome support team I figure out there is a requirement for at least 500 words per classification.
I have asked to add it to the API reference page.
Double checking and editing my answer: It is depends which framework is being used to send this data. In case you are implementing the client and not encoding the URL string it won't work for you (e.g. space = %20).
Check the API example here:

Odoo / Postgres: Concatenate rows value until condition = true

I'm creating a new view for a customized PoS module for my restaurant. It's a specific view for kitchen, already filtered to show just kitchen's related items of a PoS order.
Now I would like to show a particular series of product with the name starting with "#" in a field populated by a function side by side with the "standard" products. In fact I'm speaking of a set of instructions coded as products to be available on PoS and to suit my needs I decided to create kitchen instructions as a product (service). In my PoS there are 3 categories that are not products but instructions (ADD, SUBTRACT, ADDITIONAL NOTE).
A typical order will show as:
Product Quantity
[1007] Pom. Secchi 1
# + Búfala 1
# - Mussarela 1
[2002] Nutella banana 1
# + Mussarela 1
What I would like to archive is a view like:
Product Note Quantity
[1007] Pom. Secchi # + Búfala # - Mussarela 1
[2002] Nutella banana # + Mussarela 1
I need to select just the strings starting with the "#" between two internal code starting with "[code]" and this is the hard thing to do. I don't need to delete the values I "move" because I need the stock view when I print the receipt.
I will call this function using python (and psycopg2 on postgresql 9.4) with on_change or extending the workflow when an order is marked as "paid". I don't think if doing it directly in Python is viable.
I've tried with string_agg(,) but with bad results.
Any tips about what should be the correct path to start coding? Thanks.